No. 1
Calculated PXRD pattern
Compound: PrCu12Ge4
Radiation: CuKα
Structure: DFT lattice parameters and positions (GGA-PBE)

Atomic structure:
```
17
Lattice="-4.1491 4.1491 4.1491 4.1491 -4.1491 4.1491 4.1491 4.1491 -4.1491" Properties=species:S:1:pos:R:3 pbc="T T T"
Pr 0.0000 0.0000 0.0000
Cu 2.9569 1.2474 0.0000
Cu 5.3413 1.2474 0.0000
Cu 4.1491 -1.1922 2.9017
Cu 2.9017 4.1491 -1.1922
Cu 1.2474 0.0000 2.9569
Cu 4.1491 1.1922 2.9017
Cu 0.0000 2.9569 1.2474
Cu 2.9017 4.1491 1.1922
Cu 1.2474 0.0000 5.3413
Cu 0.0000 5.3413 1.2474
Cu -1.1922 2.9017 4.1491
Cu 1.1922 2.9017 4.1491
Ge 2.0746 2.0746 -2.0746
Ge 2.0746 -2.0746 2.0746
Ge -2.0746 2.0746 2.0746
Ge 2.0746 2.0746 2.0746
```

Main lines, in order of rising 2θ (10° ≤ 2θ ≤ 90°):
2.934 Å, 2θ 30.5, rel. 243; 2.624 Å, 2θ 34.2, rel. 1000; 2.218 Å, 2θ 40.7, rel. 452; 1.856 Å, 2θ 49.1, rel. 212; 1.694 Å, 2θ 54.1, rel. 338; 1.627 Å, 2θ 56.6, rel. 413; 1.312 Å, 2θ 72.0, rel. 108; 1.224 Å, 2θ 78.1, rel. 112; 1.198 Å, 2θ 80.1, rel. 102; 1.109 Å, 2θ 88.1, rel. 43

No. 2
Calculated PXRD pattern
Compound: BaLi2Bi3
Radiation: CuKα
Structure: DFT lattice parameters and positions (GGA-PBE)

Atomic structure:
```
12
Lattice="6.1261 -4.9498 0.0000 6.1261 4.9498 0.0000 0.0000 0.0000 6.2892" Properties=species:S:1:pos:R:3 pbc="T T T"
Ba 6.1261 3.1306 4.7169
Ba 6.1261 -3.1306 1.5723
Li 3.5671 0.0000 0.0000
Li 3.5671 0.0000 3.1446
Li 8.6851 0.0000 0.0000
Li 8.6851 0.0000 3.1446
Bi 3.5490 2.7141 1.5723
Bi 8.7032 2.7141 1.5723
Bi 6.1261 0.4670 1.5723
Bi 6.1261 -0.4670 4.7169
Bi 3.5490 -2.7141 4.7169
Bi 8.7032 -2.7141 4.7169
```

Main lines, in order of rising 2θ (10° ≤ 2θ ≤ 90°):
7.700 Å, 2θ 11.5, rel. 460; 4.950 Å, 2θ 17.9, rel. 468; 3.850 Å, 2θ 23.1, rel. 1000; 3.284 Å, 2θ 27.2, rel. 804; 3.237 Å, 2θ 27.6, rel. 858; 3.145 Å, 2θ 28.4, rel. 956; 3.063 Å, 2θ 29.2, rel. 526; 2.435 Å, 2θ 36.9, rel. 680; 2.376 Å, 2θ 37.9, rel. 696; 2.194 Å, 2θ 41.1, rel. 407

No. 3
Calculated PXRD pattern
Compound: Ce8Sb2Rh
Radiation: CuKα
Structure: DFT lattice parameters and positions (GGA-PBE)

Atomic structure:
```
11
Lattice="8.7262 -2.7788 0.0000 8.7262 2.7788 0.0000 -1.8915 0.0000 6.1822" Properties=species:S:1:pos:R:3 pbc="T T T"
Ce -0.4887 0.0000 1.7290
Ce 2.7485 0.0000 3.9795
Ce 6.0450 0.0000 1.0208
Ce 5.4716 0.0000 4.6995
Ce 10.0893 0.0000 1.4827
Ce 9.5158 0.0000 5.1614
Ce 12.8123 0.0000 2.2027
Ce 16.0496 0.0000 4.4532
Sb 2.7954 0.0000 0.7029
Sb 12.7654 0.0000 5.4793
Rh 7.7804 0.0000 3.0911
```

Main lines, in order of rising 2θ (10° ≤ 2θ ≤ 90°):
3.091 Å, 2θ 28.9, rel. 159; 3.067 Å, 2θ 29.1, rel. 224; 2.861 Å, 2θ 31.3, rel. 607; 2.779 Å, 2θ 32.2, rel. 1000; 2.718 Å, 2θ 32.9, rel. 373; 2.565 Å, 2θ 35.0, rel. 259; 2.425 Å, 2θ 37.1, rel. 389; 2.379 Å, 2θ 37.8, rel. 150; 2.059 Å, 2θ 44.0, rel. 149; 1.390 Å, 2θ 67.4, rel. 163

* * * * *

LuMgAu2: simulated X-ray powder pattern (Cu Kα (λ = 1.5418 Å)), based on a crystal structure in OQMD, relaxed with GGA-PBE.
Kinematic intensities with the Lorentz-polarization factor, no thermal factor.

a b c (Å): 4.8092 4.8092 8.3658
angles (deg): 90.00 90.00 120.00
Space group P6_3/mmc (No. 194)
Symmetry-distinct sites (fractional):
Lu 0.0000 0.0000 0.0000
Mg 0.3333 0.6667 0.2500
Au 0.3333 0.6667 0.5861

Most intense lines, 2θ from 10° to 80°, by angle:
index  Position (°2θ)  I/Imax
0 0 2  21.24  45
1 0 1  23.87  41
1 1 0  37.40  100
1 0 3  38.87  68
1 1 2  43.41  42
1 0 4  48.72  20
2 0 3  55.04  25
3 0 0  67.46  18
2 1 3  68.44  26
1 0 6  71.33  13
2 1 4  75.61  11
2 2 0  79.76  12

* * * * *

For P2W2O11, a cell relaxed with GGA+U gives the calculated X-ray diffraction stick pattern in this record (a wavelength of 1.5418 Å).

Structural model:
Cell: 16.1341 6.3660 8.1698 Å, 90.00 90.00 90.00°
Space group Pnma (No. 62)
One atom of each set of equivalent atoms:
P: 0.0846 0.2500 0.0900 (multiplicity 4)
P: 0.2438 0.7500 0.9974 (multiplicity 4)
W: 0.0627 0.7500 0.2293 (multiplicity 4)
W: 0.2000 0.7500 0.5901 (multiplicity 4)
O: 0.0089 0.2500 0.6132 (multiplicity 4)

Give back the whole of the data above exactly.

No. 1
Calculated PXRD pattern
Compound: PrCu12Ge4
Radiation: CuKα
Structure: DFT lattice parameters and positions (GGA-PBE)

Atomic structure:
```
17
Lattice="-4.1491 4.1491 4.1491 4.1491 -4.1491 4.1491 4.1491 4.1491 -4.1491" Properties=species:S:1:pos:R:3 pbc="T T T"
Pr 0.0000 0.0000 0.0000
Cu 2.9569 1.2474 0.0000
Cu 5.3413 1.2474 0.0000
Cu 4.1491 -1.1922 2.9017
Cu 2.9017 4.1491 -1.1922
Cu 1.2474 0.0000 2.9569
Cu 4.1491 1.1922 2.9017
Cu 0.0000 2.9569 1.2474
Cu 2.9017 4.1491 1.1922
Cu 1.2474 0.0000 5.3413
Cu 0.0000 5.3413 1.2474
Cu -1.1922 2.9017 4.1491
Cu 1.1922 2.9017 4.1491
Ge 2.0746 2.0746 -2.0746
Ge 2.0746 -2.0746 2.0746
Ge -2.0746 2.0746 2.0746
Ge 2.0746 2.0746 2.0746
```

Main lines, in order of rising 2θ (10° ≤ 2θ ≤ 90°):
2.934 Å, 2θ 30.5, rel. 243; 2.624 Å, 2θ 34.2, rel. 1000; 2.218 Å, 2θ 40.7, rel. 452; 1.856 Å, 2θ 49.1, rel. 212; 1.694 Å, 2θ 54.1, rel. 338; 1.627 Å, 2θ 56.6, rel. 413; 1.312 Å, 2θ 72.0, rel. 108; 1.224 Å, 2θ 78.1, rel. 112; 1.198 Å, 2θ 80.1, rel. 102; 1.109 Å, 2θ 88.1, rel. 43

No. 2
Calculated PXRD pattern
Compound: BaLi2Bi3
Radiation: CuKα
Structure: DFT lattice parameters and positions (GGA-PBE)

Atomic structure:
```
12
Lattice="6.1261 -4.9498 0.0000 6.1261 4.9498 0.0000 0.0000 0.0000 6.2892" Properties=species:S:1:pos:R:3 pbc="T T T"
Ba 6.1261 3.1306 4.7169
Ba 6.1261 -3.1306 1.5723
Li 3.5671 0.0000 0.0000
Li 3.5671 0.0000 3.1446
Li 8.6851 0.0000 0.0000
Li 8.6851 0.0000 3.1446
Bi 3.5490 2.7141 1.5723
Bi 8.7032 2.7141 1.5723
Bi 6.1261 0.4670 1.5723
Bi 6.1261 -0.4670 4.7169
Bi 3.5490 -2.7141 4.7169
Bi 8.7032 -2.7141 4.7169
```

Main lines, in order of rising 2θ (10° ≤ 2θ ≤ 90°):
7.700 Å, 2θ 11.5, rel. 460; 4.950 Å, 2θ 17.9, rel. 468; 3.850 Å, 2θ 23.1, rel. 1000; 3.284 Å, 2θ 27.2, rel. 804; 3.237 Å, 2θ 27.6, rel. 858; 3.145 Å, 2θ 28.4, rel. 956; 3.063 Å, 2θ 29.2, rel. 526; 2.435 Å, 2θ 36.9, rel. 680; 2.376 Å, 2θ 37.9, rel. 696; 2.194 Å, 2θ 41.1, rel. 407

No. 3
Calculated PXRD pattern
Compound: Ce8Sb2Rh
Radiation: CuKα
Structure: DFT lattice parameters and positions (GGA-PBE)

Atomic structure:
```
11
Lattice="8.7262 -2.7788 0.0000 8.7262 2.7788 0.0000 -1.8915 0.0000 6.1822" Properties=species:S:1:pos:R:3 pbc="T T T"
Ce -0.4887 0.0000 1.7290
Ce 2.7485 0.0000 3.9795
Ce 6.0450 0.0000 1.0208
Ce 5.4716 0.0000 4.6995
Ce 10.0893 0.0000 1.4827
Ce 9.5158 0.0000 5.1614
Ce 12.8123 0.0000 2.2027
Ce 16.0496 0.0000 4.4532
Sb 2.7954 0.0000 0.7029
Sb 12.7654 0.0000 5.4793
Rh 7.7804 0.0000 3.0911
```

Main lines, in order of rising 2θ (10° ≤ 2θ ≤ 90°):
3.091 Å, 2θ 28.9, rel. 159; 3.067 Å, 2θ 29.1, rel. 224; 2.861 Å, 2θ 31.3, rel. 607; 2.779 Å, 2θ 32.2, rel. 1000; 2.718 Å, 2θ 32.9, rel. 373; 2.565 Å, 2θ 35.0, rel. 259; 2.425 Å, 2θ 37.1, rel. 389; 2.379 Å, 2θ 37.8, rel. 150; 2.059 Å, 2θ 44.0, rel. 149; 1.390 Å, 2θ 67.4, rel. 163

* * * * *

LuMgAu2: simulated X-ray powder pattern (Cu Kα (λ = 1.5418 Å)), based on a crystal structure in OQMD, relaxed with GGA-PBE.
Kinematic intensities with the Lorentz-polarization factor, no thermal factor.

a b c (Å): 4.8092 4.8092 8.3658
angles (deg): 90.00 90.00 120.00
Space group P6_3/mmc (No. 194)
Symmetry-distinct sites (fractional):
Lu 0.0000 0.0000 0.0000
Mg 0.3333 0.6667 0.2500
Au 0.3333 0.6667 0.5861

Most intense lines, 2θ from 10° to 80°, by angle:
index  Position (°2θ)  I/Imax
0 0 2  21.24  45
1 0 1  23.87  41
1 1 0  37.40  100
1 0 3  38.87  68
1 1 2  43.41  42
1 0 4  48.72  20
2 0 3  55.04  25
3 0 0  67.46  18
2 1 3  68.44  26
1 0 6  71.33  13
2 1 4  75.61  11
2 2 0  79.76  12

* * * * *

For P2W2O11, a cell relaxed with GGA+U gives the calculated X-ray diffraction stick pattern in this record (a wavelength of 1.5418 Å).

Structural model:
Cell: 16.1341 6.3660 8.1698 Å, 90.00 90.00 90.00°
Space group Pnma (No. 62)
One atom of each set of equivalent atoms:
P: 0.0846 0.2500 0.0900 (multiplicity 4)
P: 0.2438 0.7500 0.9974 (multiplicity 4)
W: 0.0627 0.7500 0.2293 (multiplicity 4)
W: 0.2000 0.7500 0.5901 (multiplicity 4)
O: 0.0089 0.2500 0.6132 (multiplicity 4)